The Anya Fact Sheet: Diastasis Recti

Expert Contributor:

Leah Keller, personal trainer

Shamsah Amersi, OB-GYN


“Diastasis recti is a separation of the rectus abdominis muscle,” explains Leah Keller, a personal trainer and the founder of the Every Mother (EMbody program), an exercise program designed to prevent and resolve diastasis recti.

 In other words, it’s when your six-pack muscle is stretched apart. “It’s not a tear—it’s when the muscles are overstretched laterally,” says Keller. Usually harmless and very common in those who are pregnant or postpartum, diastasis recti often resolves on its own, but there are ways to help it along.

_Next to the piece, the page also holds records of crystals_
(1)
Calculated X-ray diffraction stick pattern of Li5Mn3Sb2O10 for a wavelength of 1.5418 Å, from a GGA+U-relaxed structure.
Lines closer than 0.1° are merged.

Structural model:
```
Li5Mn3Sb2O10
1.0
5.3851 0.0000 0.0000
2.6826 7.8668 0.0000
1.9574 2.9341 10.3249
Li Mn Sb O
10 6 4 20
Direct
0.0000 0.0000 0.0000
0.0047 0.0096 0.4946
0.0113 0.1668 0.6847
0.0183 0.1567 0.2015
0.4632 0.9129 0.6183
0.4849 0.8872 0.1296
0.9583 0.6330 0.5485
0.9698 0.7933 0.7516
0.9791 0.8052 0.2549
0.9913 0.5962 0.0770
0.4779 0.5069 0.2184
0.4805 0.5108 0.7166
0.4832 0.2865 0.5320
0.4886 0.2879 0.0361
0.9852 0.3981 0.8773
0.9924 0.3900 0.3768
0.4594 0.7009 0.4219
0.4676 0.7057 0.9217
0.5043 0.0948 0.8288
0.5106 0.0959 0.3229
0.2190 0.1563 0.5159
0.2196 0.3715 0.1888
0.2268 0.7440 0.5836
0.2381 0.9095 0.3027
0.2398 0.5740 0.8894
0.2434 0.7500 0.0801
0.2482 0.5463 0.4041
0.2593 0.1488 0.9846
0.2648 0.3185 0.7223
0.2744 0.9461 0.8077
0.6900 0.8385 0.4487
0.6960 0.8548 0.9424
0.6991 0.4810 0.5357
0.7070 0.4843 0.0311
0.7107 0.6461 0.2664
0.7145 0.6481 0.7670
0.7284 0.2348 0.8537
0.7296 0.0504 0.6701
0.7514 0.2314 0.3575
0.7541 0.0540 0.1533
```

Most intense lines, 5° ≤ 2θ ≤ 70°, by angle:
2θ 17.2, intensity 530; 2θ 17.5, intensity 1000; 2θ 21.4, intensity 301; 2θ 25.0, intensity 296; 2θ 28.4, intensity 186; 2θ 33.0, intensity 188; 2θ 33.5, intensity 348; 2θ 40.0, intensity 446; 2θ 40.9, intensity 465; 2θ 41.0, intensity 436

(2)
Calculated X-ray diffraction stick pattern of Li3Mn2SbO6 for a wavelength of 1.5418 Å, from a GGA+U-relaxed structure.
Lines closer than 0.1° are merged.

Structural model:
```
Li3Mn2SbO6
1.0
2.7210 -4.7188 0.0000
2.7210 4.7188 0.0000
-1.8236 0.0000 4.9799
Li Mn Sb O
3 2 1 6
Direct
0.0000 0.0000 0.0000
0.3439 0.6561 0.0000
0.6561 0.3439 0.0000
0.1676 0.8324 0.5000
0.8324 0.1676 0.5000
0.5000 0.5000 0.5000
0.1179 0.4228 0.2636
0.2697 0.2697 0.7295
0.4228 0.1179 0.2636
0.5772 0.8821 0.7364
0.7303 0.7303 0.2705
0.8821 0.5772 0.7364
```

Most intense lines, 5° ≤ 2θ ≤ 70°, by angle:
2θ 17.8, intensity 1000; 2θ 19.8, intensity 163; 2θ 33.5, intensity 543; 2θ 35.1, intensity 237; 2θ 41.0, intensity 776; 2θ 45.0, intensity 204; 2θ 54.6, intensity 168; 2θ 58.7, intensity 227; 2θ 60.0, intensity 142; 2θ 61.9, intensity 185

(3)
Calculated X-ray diffraction stick pattern of LiMn2SbO6 for a wavelength of 1.5418 Å, from a GGA+U-relaxed structure.
Lines closer than 0.1° are merged.

Structural model:
```
LiMn2SbO6
1.0
2.5892 1.4949 4.8617
-2.5892 1.4949 4.8617
0.0000 -2.9897 4.8617
Li Mn Sb O
1 2 1 6
Direct
0.0000 0.0000 0.0000
0.2727 0.2727 0.2727
0.7876 0.7876 0.7876
0.4729 0.4729 0.4729
0.0627 0.6715 0.4211
0.1824 0.5767 0.8562
0.4211 0.0627 0.6715
0.5767 0.8562 0.1824
0.6715 0.4211 0.0627
0.8562 0.1824 0.5767
```

Most intense lines, 5° ≤ 2θ ≤ 70°, by angle:

Keller has worked with Weill Cornell Medical College on research of diastasis recti. A 2014 study coauthored by Keller found that at the end of twelve weeks in the EMbody program, 100 percent of participants had resolved their diastasis recti. 

How common is diastasis recti?

A 2016 study in the British Journal of Sports Medicine found that 60 percent of women experience diastasis recti six weeks into pregnancy.

What causes diastasis recti?

“The growing uterus stretches the muscles in the abdomen, which can cause the two large parallel bands of muscles that meet in the middle of the abdomen—the rectus muscles—to become separated,” explains Dr. Shamsah Amersi, an obstetrician and gynecologist in Los Angeles. “It can cause a bulge in the middle of the abdomen where the two muscles separate and may be more noticeable when you move from lying down to sitting up.” 

The connective tissue that keeps the abdominal muscles attached at the midline (the linea alba) stretches sideways during pregnancy and can become weak. “Then you don’t have the support that you need for your organs or your back because the muscles are no longer front and center—they’ve migrated sideways,” Keller says. 

How do I know if I have it?

You can usually check by looking in the mirror: A wider waistline indicates mild separation, “but if it’s a more severe, deeper separation, you’ll present as if you’re five months pregnant and have a pooch that persists even after you lose the baby weight,” Keller says. If your belly button pops from an innie to an outie, it can be a sign of an umbilical hernia (which often accompanies diastasis recti). Set a reminder to ask your doctor to check you for diastasis recti at your six-week checkup. 

What can I do about it? 

There are programs and exercises that can resolve diastasis recti with regular practice guided by a physical therapist or a fitness or Pilates instructor. (Your ob-gyn is a great resource for a physical therapist referral.) There are also online programs to join, like  Every Mother, a subscription service that offers members exercises specifically designed to target diastasis recti

“The therapeutic intervention to resolve a separation can be done in daily ten-minute exercises,” says Keller.

Often, it can be resolved with a core compression routine. (Core compressions are a combination of exhalation and activation of the transverse abdominis muscle, while engaging deep core muscles like the pelvic floor and diaphragm.) Start with five minutes a day and work up to ten to strengthen and restore the abdominal wall, decrease intra-abdominal pressure, and reinforce the strength and elasticity of both the muscles and the connective tissue.

“You can do core compressions seated, lying in a fetal position, or in a semi-bridge position on the floor,” Keller says. “For the seated position, you might just be sitting there pumping. And you might as well be productive and get your core work out in there, too. Some people can do that.” 

“For core compressions, just start gently in early postpartum,” Keller says. “Once you’re past six weeks, you want the intensity to feel moderate.”



Surgery is rarely necessary, but in severe cases, where exercise and physical therapy don’t help, abdominoplasty (also known as a tummy tuck) is an option. But Keller says, “I usually recommend going to the least invasive option possible, so exercise is always a good place to begin.” Some surgeons offer minimally invasive options, but unless you also have a hernia, surgery for diastasis recti is considered cosmetic and not covered by insurance. “In my experience of working with thousands of women with this condition, I’ve had maybe three that I can think of who were candidates for surgery,” Keller says. “It just comes down to what degree of severity, how damaged the fascia is, and how many layers of fascia are damaged.” 

What not to do if you have diastasis recti

Classic crunches, bicycle crunches, ab exercises that lift both legs at once when you’re lying on your back, and any movement that bulges the abs forward or twists the abdominals could all make the condition worse. Also avoid high-impact exercises like jumping rope, trampoline exercises, and high-intensity running if you have pelvic organ prolapse or feel any bladder pressure, leaking, or urgency to pee when you perform them. It’s best to wait until the core is fully healed postpartum to resume those activities. 

When should I see a doctor?

“If you can fit eight fingers deep into that gully between the rectus abdominus and they’re sinking way in and you can feel your organs, you might want to talk to a doctor,” Keller says. Ask your obstetrician about diastasis recti at your six-week appointment to start a conversation about treatment. 

How long will it last?

A study from the British Journal of Sports Medicine found that 60 percent of women had diastasis recti at six weeks postpartum. After six months, the number dropped to 45.5 percent, and at the one-year mark, it was 32.6 percent.  


Dr. Shamsah Amersi is an adviser to Anya.